(Listing)
=====
Record 1
VASP calculation (PBE) on a relaxed CsRb2YF6 crystal.

a b c (Å): 7.078 7.078 7.078
angles (deg): 60.00 60.00 60.00
Atoms (fractional coordinates):
1 F 0.219 0.781 0.781
2 F 0.781 0.219 0.781
3 F 0.219 0.219 0.781
4 F 0.781 0.781 0.219
5 F 0.219 0.781 0.219
6 F 0.781 0.219 0.219
7 Cs 0.500 0.500 0.500
8 Rb 0.250 0.250 0.250
9 Rb 0.750 0.750 0.750
10 Y 0.000 0.000 0.000

Output
formation energy from the elements = -3.485 eV per atom
total magnetization = 0.00 μB/atom

Record 2
VASP calculation (PBE) on a relaxed Mg6ZrB crystal.

a b c (Å): 6.836 6.836 4.579
angles (deg): 90.00 90.00 132.18
Atoms (fractional coordinates):
1 B 0.360 0.640 0.500
2 Mg 0.173 0.332 0.000
3 Mg 0.811 0.693 0.500
4 Mg 0.215 0.785 0.000
5 Mg 0.307 0.189 0.500
6 Mg 0.668 0.827 0.000
7 Mg 0.655 0.345 0.000
8 Zr 0.811 0.189 0.500

Output
formation energy from the elements = 0.313 eV per atom
energy above the lowest structure with this stoichiometry = 17 meV per atom
total magnetization = 0.00 μB/atom

Record 3
VASP calculation (PBE) on a relaxed K6Te2P6H12O33 crystal.

a b c (Å): 13.939 13.939 13.939
angles (deg): 56.68 56.68 56.68
Atoms (fractional coordinates):
1 O 0.842 0.255 0.068
2 O 0.432 0.245 0.658
3 O 0.929 0.756 0.993
4 O 0.429 0.493 0.256
5 O 0.244 0.007 0.071
6 O 0.345 0.913 0.737
7 O 0.750 0.961 0.539
8 O 0.294 0.536 0.622
9 O 0.155 0.763 0.587
10 O 0.961 0.539 0.750
11 O 0.744 0.571 0.507
12 O 0.772 0.536 0.704
13 O 0.237 0.413 0.845
14 O 0.658 0.432 0.245
15 O 0.250 0.039 0.461
16 O 0.263 0.655 0.087
17 O 0.913 0.737 0.345
18 O 0.204 0.036 0.272
19 O 0.704 0.772 0.536
20 O 0.745 0.932 0.158
21 O 0.378 0.706 0.464
22 O 0.755 0.342 0.568
23 O 0.464 0.296 0.228
24 O 0.845 0.237 0.413
25 O 0.158 0.745 0.932
26 O 0.068 0.842 0.255
27 O 0.571 0.507 0.744
28 O 0.036 0.272 0.204
29 O 0.039 0.461 0.250
30 O 0.228 0.464 0.296
31 O 0.536 0.622 0.294
32 O 0.964 0.206 0.878
33 O 0.256 0.429 0.493
34 O 0.087 0.263 0.655
35 O 0.993 0.929 0.756
36 O 0.796 0.964 0.728
37 O 0.964 0.728 0.796
38 O 0.464 0.378 0.706
39 O 0.706 0.464 0.378
40 O 0.655 0.087 0.263
41 O 0.007 0.071 0.244
42 O 0.507 0.744 0.571
43 O 0.206 0.878 0.964
44 O 0.493 0.256 0.429
45 O 0.587 0.155 0.763
46 O 0.737 0.345 0.913
47 O 0.763 0.587 0.155
48 O 0.255 0.068 0.842
49 O 0.568 0.755 0.342
50 O 0.728 0.796 0.964
51 O 0.794 0.122 0.036
52 O 0.413 0.845 0.237
53 O 0.296 0.228 0.464
54 O 0.036 0.794 0.122
55 O 0.622 0.294 0.536
56 O 0.756 0.993 0.929
57 O 0.536 0.704 0.772
58 O 0.539 0.750 0.961
59 O 0.122 0.036 0.794
60 O 0.071 0.244 0.007
61 O 0.461 0.250 0.039
62 O 0.932 0.158 0.745
63 O 0.878 0.964 0.206
64 O 0.245 0.658 0.432
65 O 0.272 0.204 0.036
66 O 0.342 0.568 0.755
67 H 0.462 0.780 0.758
68 H 0.780 0.758 0.462
69 H 0.738 0.489 0.537
70 H 0.720 0.038 0.742
71 H 0.220 0.242 0.538
72 H 0.989 0.238 0.037
73 H 0.262 0.511 0.463
74 H 0.238 0.037 0.989
75 H 0.742 0.720 0.038
76 H 0.489 0.537 0.738
77 H 0.538 0.220 0.242
78 H 0.962 0.258 0.280
79 H 0.511 0.463 0.262
80 H 0.242 0.538 0.220
81 H 0.037 0.989 0.238
82 H 0.537 0.738 0.489
83 H 0.038 0.742 0.720
84 H 0.758 0.462 0.780
85 H 0.011 0.762 0.963
86 H 0.258 0.280 0.962
87 H 0.762 0.963 0.011
88 H 0.963 0.011 0.762
89 H 0.280 0.962 0.258
90 H 0.463 0.262 0.511
91 K 0.186 0.314 0.750
92 K 0.500 0.500 0.000
93 K 0.314 0.750 0.186
94 K 0.000 0.000 0.500
95 K 0.814 0.686 0.250
96 K 0.000 0.500 0.500
97 K 0.750 0.186 0.314
98 K 0.250 0.814 0.686
99 K 0.500 0.000 0.500
100 K 0.000 0.500 0.000
101 K 0.686 0.250 0.814
102 K 0.500 0.000 0.000
103 P 0.673 0.522 0.258
104 P 0.327 0.478 0.742
105 P 0.742 0.327 0.478
106 P 0.173 0.758 0.022
107 P 0.022 0.173 0.758
108 P 0.522 0.258 0.673
109 P 0.827 0.242 0.978
110 P 0.242 0.978 0.827
111 P 0.478 0.742 0.327
112 P 0.258 0.673 0.522
113 P 0.758 0.022 0.173
114 P 0.978 0.827 0.242
115 Te 0.861 0.861 0.861
116 Te 0.639 0.639 0.639
117 Te 0.139 0.139 0.139
118 Te 0.361 0.361 0.361

Output
formation energy from the elements = -1.822 eV per atom
total magnetization = 0.10 μB/atom

----------
=====

(Request)
Next, duplicate all of the calculation results above without altering anything.

(Worked solution)
Record 1
VASP calculation (PBE) on a relaxed CsRb2YF6 crystal.

a b c (Å): 7.078 7.078 7.078
angles (deg): 60.00 60.00 60.00
Atoms (fractional coordinates):
1 F 0.219 0.781 0.781
2 F 0.781 0.219 0.781
3 F 0.219 0.219 0.781
4 F 0.781 0.781 0.219
5 F 0.219 0.781 0.219
6 F 0.781 0.219 0.219
7 Cs 0.500 0.500 0.500
8 Rb 0.250 0.250 0.250
9 Rb 0.750 0.750 0.750
10 Y 0.000 0.000 0.000

Output
formation energy from the elements = -3.485 eV per atom
total magnetization = 0.00 μB/atom

Record 2
VASP calculation (PBE) on a relaxed Mg6ZrB crystal.

a b c (Å): 6.836 6.836 4.579
angles (deg): 90.00 90.00 132.18
Atoms (fractional coordinates):
1 B 0.360 0.640 0.500
2 Mg 0.173 0.332 0.000
3 Mg 0.811 0.693 0.500
4 Mg 0.215 0.785 0.000
5 Mg 0.307 0.189 0.500
6 Mg 0.668 0.827 0.000
7 Mg 0.655 0.345 0.000
8 Zr 0.811 0.189 0.500

Output
formation energy from the elements = 0.313 eV per atom
energy above the lowest structure with this stoichiometry = 17 meV per atom
total magnetization = 0.00 μB/atom

Record 3
VASP calculation (PBE) on a relaxed K6Te2P6H12O33 crystal.

a b c (Å): 13.939 13.939 13.939
angles (deg): 56.68 56.68 56.68
Atoms (fractional coordinates):
1 O 0.842 0.255 0.068
2 O 0.432 0.245 0.658
3 O 0.929 0.756 0.993
4 O 0.429 0.493 0.256
5 O 0.244 0.007 0.071
6 O 0.345 0.913 0.737
7 O 0.750 0.961 0.539
8 O 0.294 0.536 0.622
9 O 0.155 0.763 0.587
10 O 0.961 0.539 0.750
11 O 0.744 0.571 0.507
12 O 0.772 0.536 0.704
13 O 0.237 0.413 0.845
14 O 0.658 0.432 0.245
15 O 0.250 0.039 0.461
16 O 0.263 0.655 0.087
17 O 0.913 0.737 0.345
18 O 0.204 0.036 0.272
19 O 0.704 0.772 0.536
20 O 0.745 0.932 0.158
21 O 0.378 0.706 0.464
22 O 0.755 0.342 0.568
23 O 0.464 0.296 0.228
24 O 0.845 0.237 0.413
25 O 0.158 0.745 0.932
26 O 0.068 0.842 0.255
27 O 0.571 0.507 0.744
28 O 0.036 0.272 0.204
29 O 0.039 0.461 0.250
30 O 0.228 0.464 0.296
31 O 0.536 0.622 0.294
32 O 0.964 0.206 0.878
33 O 0.256 0.429 0.493
34 O 0.087 0.263 0.655
35 O 0.993 0.929 0.756
36 O 0.796 0.964 0.728
37 O 0.964 0.728 0.796
38 O 0.464 0.378 0.706
39 O 0.706 0.464 0.378
40 O 0.655 0.087 0.263
41 O 0.007 0.071 0.244
42 O 0.507 0.744 0.571
43 O 0.206 0.878 0.964
44 O 0.493 0.256 0.429
45 O 0.587 0.155 0.763
46 O 0.737 0.345 0.913
47 O 0.763 0.587 0.155
48 O 0.255 0.068 0.842
49 O 0.568 0.755 0.342
50 O 0.728 0.796 0.964
51 O 0.794 0.122 0.036
52 O 0.413 0.845 0.237
53 O 0.296 0.228 0.464
54 O 0.036 0.794 0.122
55 O 0.622 0.294 0.536
56 O 0.756 0.993 0.929
57 O 0.536 0.704 0.772
58 O 0.539 0.750 0.961
59 O 0.122 0.036 0.794
60 O 0.071 0.244 0.007
61 O 0.461 0.250 0.039
62 O 0.932 0.158 0.745
63 O 0.878 0.964 0.206
64 O 0.245 0.658 0.432
65 O 0.272 0.204 0.036
66 O 0.342 0.568 0.755
67 H 0.462 0.780 0.758
68 H 0.780 0.758 0.462
69 H 0.738 0.489 0.537
70 H 0.720 0.038 0.742
71 H 0.220 0.242 0.538
72 H 0.989 0.238 0.037
73 H 0.262 0.511 0.463
74 H 0.238 0.037 0.989
75 H 0.742 0.720 0.038
76 H 0.489 0.537 0.738
77 H 0.538 0.220 0.242
78 H 0.962 0.258 0.280
79 H 0.511 0.463 0.262
80 H 0.242 0.538 0.220
81 H 0.037 0.989 0.238
82 H 0.537 0.738 0.489
83 H 0.038 0.742 0.720
84 H 0.758 0.462 0.780
85 H 0.011 0.762 0.963
86 H 0.258 0.280 0.962
87 H 0.762 0.963 0.011
88 H 0.963 0.011 0.762
89 H 0.280 0.962 0.258
90 H 0.463 0.262 0.511
91 K 0.186 0.314 0.750
92 K 0.500 0.500 0.000
93 K 0.314 0.750 0.186
94 K 0.000 0.000 0.500
95 K 0.814 0.686 0.250
96 K 0.000 0.500 0.500
97 K 0.750 0.186 0.314
98 K 0.250 0.814 0.686
99 K 0.500 0.000 0.500
100 K 0.000 0.500 0.000
101 K 0.686 0.250 0.814
102 K 0.500 0.000 0.000
103 P 0.673 0.522 0.258
104 P 0.327 0.478 0.742
105 P 0.742 0.327 0.478
106 P 0.173 0.758 0.022
107 P 0.022 0.173 0.758
108 P 0.522 0.258 0.673
109 P 0.827 0.242 0.978
110 P 0.242 0.978 0.827
111 P 0.478 0.742 0.327
112 P 0.258 0.673 0.522
113 P 0.758 0.022 0.173
114 P 0.978 0.827 0.242
115 Te 0.861 0.861 0.861
116 Te 0.639 0.639 0.639
117 Te 0.139 0.139 0.139
118 Te 0.361 0.361 0.361

Output
formation energy from the elements = -1.822 eV per atom
total magnetization = 0.10 μB/atom

----------